**Material:**
Entry 1:
Starting from DFT lattice parameters and positions (GGA-PBE), the powder diffraction line list of HoFe2 was computed for Cu Kα.

Principal peaks in the range 5° ≤ 2θ ≤ 70°, by intensity:
- 2θ = 41.26°, d 2.188, rel. 100
- 2θ = 38.28°, d 2.351, rel. 98
- 2θ = 34.84°, d 2.575, rel. 69
- 2θ = 41.95°, d 2.154, rel. 53
- 2θ = 64.75°, d 1.440, rel. 42
- 2θ = 66.84°, d 1.400, rel. 23
- 2θ = 40.45°, d 2.230, rel. 16
- 2θ = 29.40°, d 3.038, rel. 15

Cell and atoms:
```
12
Lattice="5.150 0.000 0.000 -2.575 4.460 0.000 0.000 0.000 8.301" Properties=species:S:1:pos:R:3 pbc="T T T"
Ho 0.000 2.974 0.516
Ho 0.000 2.974 3.635
Ho 2.575 1.487 4.666
Ho 2.575 1.487 7.785
Fe 0.000 0.000 0.000
Fe 0.000 0.000 4.150
Fe 0.000 1.478 6.226
Fe -1.295 3.721 6.226
Fe 1.280 0.739 2.075
Fe 1.295 3.721 6.226
Fe 3.871 0.739 2.075
Fe 2.575 2.983 2.075
```


Entry 2:
Starting from DFT lattice parameters and positions (GGA-PBE), the powder diffraction line list of Sm12Y2Ho5 was computed for Cu Kα.

Principal peaks in the range 5° ≤ 2θ ≤ 70°, by intensity:
- 2θ = 30.60°, d 2.921, rel. 100
- 2θ = 30.90°, d 2.894, rel. 74
- 2θ = 35.26°, d 2.546, rel. 32
- 2θ = 35.56°, d 2.525, rel. 27
- 2θ = 36.15°, d 2.485, rel. 24
- 2θ = 50.94°, d 1.793, rel. 16
- 2θ = 51.38°, d 1.778, rel. 16
- 2θ = 61.14°, d 1.516, rel. 14

Cell and atoms:
```
19
Lattice="7.905 -5.091 0.000 7.905 5.091 0.000 -0.164 0.000 7.939" Properties=species:S:1:pos:R:3 pbc="T T T"
Sm 0.780 0.000 1.654
Sm 4.740 2.370 5.594
Sm 6.216 2.784 0.881
Sm 9.429 2.784 7.057
Sm 5.392 0.000 3.001
Sm 10.906 2.370 2.345
Sm 4.740 -2.370 5.594
Sm 10.254 0.000 4.938
Sm 6.216 -2.784 0.881
Sm 9.429 -2.784 7.057
Sm 10.906 -2.370 2.345
Sm 14.866 0.000 6.284
Y 7.823 2.399 3.969
Y 7.823 -2.399 3.969
Ho 2.245 0.000 4.638
Ho 4.011 0.000 0.070
Ho 7.905 0.000 0.000
Ho 11.634 0.000 7.869
Ho 13.401 0.000 3.301
```


Entry 3:
Starting from DFT lattice parameters and positions (GGA-PBE), the powder diffraction line list of TmLu2Zn was computed for Cu Kα.

Principal peaks in the range 5° ≤ 2θ ≤ 70°, by intensity:
- 2θ = 33.30°, d 2.690, rel. 100
- 2θ = 36.45°, d 2.465, rel. 47
- 2θ = 63.61°, d 1.463, rel. 31
- 2θ = 27.68°, d 3.223, rel. 20
- 2θ = 52.50°, d 1.743, rel. 17
- 2θ = 49.08°, d 1.856, rel. 15
- 2θ = 31.72°, d 2.821, rel. 12
- 2θ = 60.84°, d 1.523, rel. 12

Cell and atoms:
```
4
Lattice="3.486 0.000 0.000 0.000 3.486 0.000 0.000 0.000 8.463" Properties=species:S:1:pos:R:3 pbc="T T T"
Tm 0.000 0.000 0.000
Lu 1.743 1.743 2.487
Lu 1.743 1.743 5.976
Zn 0.000 0.000 4.232
```


Entry 4:
Starting from DFT lattice parameters and positions (GGA-PBE), the powder diffraction line list of Tb2Si5Ru3 was computed for Cu Kα.

Principal peaks in the range 5° ≤ 2θ ≤ 70°, by intensity:
- 2θ = 35.39°, d 2.536, rel. 100
- 2θ = 43.89°, d 2.063, rel. 53
- 2θ = 34.92°, d 2.570, rel. 38
- 2θ = 37.01°, d 2.429, rel. 37
- 2θ = 23.45°, d 3.793, rel. 27
- 2θ = 56.14°, d 1.638, rel. 27
- 2θ = 23.84°, d 3.733, rel. 27
- 2θ = 29.42°, d 3.036, rel. 23

Cell and atoms:
```
20
Lattice="-4.824 6.072 2.811 4.824 -6.072 2.811 4.824 6.072 -2.811" Properties=species:S:1:pos:R:3 pbc="T T T"
Tb 2.243 1.640 0.000
Tb 2.243 -1.640 2.811
Tb 2.581 7.712 0.000
Tb 2.581 4.432 2.811
Si 4.824 -2.526 1.406
Si 6.450 1.164 0.000
Si 0.000 0.000 1.406
Si 1.625 4.908 0.000
Si 4.824 2.526 1.406
Si 0.000 3.545 1.406
Si 3.199 1.164 2.811
Si 0.000 0.000 4.217
Si -1.625 4.908 2.811
Si 0.000 8.598 1.406
Ru 3.927 -4.298 2.811
Ru 4.824 0.000 1.406
Ru 3.927 4.298 0.000
Ru 0.897 1.773 2.811
Ru 0.000 6.072 1.406
Ru 0.897 10.370 0.000
```


Q: What is the formula in the fourth record?
A: Tb2Si5Ru3

* * * * *

No. 1
Diffraction record for ZrTe2Ir. The X-ray diffraction stick pattern is simulated, not measured: it uses DFT lattice parameters and positions (PBE) and a wavelength of 1.5418 Å.
No peak broadening, texture or thermal motion is included.

Structural model:
Cell lengths 7.5599, 4.3662, 6.8341 Å; angles 90.00, 90.71, 90.00 degrees
Space group Cm (No. 8)
Unique sites:

**Request:**
Next, reproduce the part of the entries further above that starts with the line with "2.487" and stops after the one with "0.000 8.598".

**Done:**
Lu 1.743 1.743 2.487
Lu 1.743 1.743 5.976
Zn 0.000 0.000 4.232
```


Entry 4:
Starting from DFT lattice parameters and positions (GGA-PBE), the powder diffraction line list of Tb2Si5Ru3 was computed for Cu Kα.

Principal peaks in the range 5° ≤ 2θ ≤ 70°, by intensity:
- 2θ = 35.39°, d 2.536, rel. 100
- 2θ = 43.89°, d 2.063, rel. 53
- 2θ = 34.92°, d 2.570, rel. 38
- 2θ = 37.01°, d 2.429, rel. 37
- 2θ = 23.45°, d 3.793, rel. 27
- 2θ = 56.14°, d 1.638, rel. 27
- 2θ = 23.84°, d 3.733, rel. 27
- 2θ = 29.42°, d 3.036, rel. 23

Cell and atoms:
```
20
Lattice="-4.824 6.072 2.811 4.824 -6.072 2.811 4.824 6.072 -2.811" Properties=species:S:1:pos:R:3 pbc="T T T"
Tb 2.243 1.640 0.000
Tb 2.243 -1.640 2.811
Tb 2.581 7.712 0.000
Tb 2.581 4.432 2.811
Si 4.824 -2.526 1.406
Si 6.450 1.164 0.000
Si 0.000 0.000 1.406
Si 1.625 4.908 0.000
Si 4.824 2.526 1.406
Si 0.000 3.545 1.406
Si 3.199 1.164 2.811
Si 0.000 0.000 4.217
Si -1.625 4.908 2.811
Si 0.000 8.598 1.406